Metal Detect Hammered Wire Coins: Useful and Practical Information
Coin Descriptions, Brief Numismatic History, Search and Recovery Methods, Real Stories
Data records from another source follow
┌──
# 1
## KSeIBr2 (PBE)

Data for an optimized crystal structure of KSeIBr2.

Cell lengths 5.692, 5.692, 5.574 Å; angles 90.00, 90.00, 90.00 degrees
Element x y z (fractional)
K: 0.500 0.500 0.500
Br: 0.500 0.000 0.000
Br: 0.000 0.500 0.000
I: 0.000 0.000 0.500
Se: 0.000 0.000 0.000

## Properties
final energy: -12.5 eV per cell
D(E_F): 3.76 states/eV/f.u.
spin magnetization: 0.00 μB per cell

---

# 2
## Ca2HgB (PBE)

Data for an optimized crystal structure of Ca2HgB.

Cell lengths 5.043, 5.043, 5.043 Å; angles 60.00, 60.00, 60.00 degrees
Element x y z (fractional)
Hg: 0.500 0.500 0.500
Ca: 0.750 0.750 0.750
Ca: 0.250 0.250 0.250
B: 0.000 0.000 0.000

## Properties
energy of formation: 0.19 eV per atom
final energy: -10.2 eV per cell
D(E_F): 3.45 states/eV/f.u.
spin magnetization: 0.00 μB per cell

---

Which formula does entry 1 have?
KSeIBr2

---

Number 2 is which compound?
Ca2HgB

---

Look up the final energy of the first one.
-12.5 eV per cell
└──

Out of all types of non-ferrous hammered coins, the "wire money" type hammereds are the hardest to metal detect due to their tiny sizes and low-conductive properties. That is why, at hunt sites of the former medieval and late-medieval settlements in Eastern Europe, these thin-sectioned hammies are the "last ones to go" among other coins and artifacts being detected and recovered. Usually the hammered coins are left behind by inexperienced or impatient coin shooters and those who use incapable metal detectors.
Most of today's advanced metal detectors are capable of detecting the wire coins lying flat on ground surface. Division of regular "land" metal detectors into two subcategories - 'capable' and 'incapable', begins when the wire coins happen to be in less detectable positions in the ground and/or, most crucial, audio responses to the coins are affected by iron masking. The latter "kicks" most of detectors, including the multi-frequency ones, out of competition. On today's market, only the high-frequency metal detectors with high Reactivity and adjustable audio tones substituting Discrimination can get the most of the wire coins out of the "hunted-out" sites.
When most metal detectors stop "picking up" any non-ferrous signals or questionable signals of the "coin+nail" type at the iron-infested settlement site, the site is considered "searched-out". But when skilful detectorists with capable high-frequency machines arrive at the "hunted-out" location, they easily find numerous wire coins and small non-ferrous artifacts. And the hunt site becomes "fruitful" again!
The following are three reasons why the wire-coin hunting has recently become popular among Eastern European and Scandinavian coin shooters: 1) elusiveness of the hammered wire coins makes their detection a challenge and, therefore, more interesting than a regular coin shooting, 2) the wire coins' presence at the "thought-to-be-expended" detecting sites attracts skillful and persistent coin shooters with advanced metal detectors that "revive" these sites providing more metal detecting fun to their operators, 3) tricky nature of the wire-coin hunting process gives a detectorist an opportunity to improve personal coin-detecting and coin-recovery skills, and, therefore, achieve a higher level of excellence, and 4) as the easy-to-research and easy-to-get-to "coin-saturated" hunt sites have become scarce, more and more detectorists have been compelled by new metal detecting conditions to get into the wire money detecting in order to continue pursuing their favorite hobby. In simple words, the wire-money hunting brings a new thrill to the process of coin shooting or metal detecting in general.
TABLE of Contents:
1) Brief Info on Early Russian Hammered Coins - "Wire Money"
2) Brief Description of Wire Coin Production Method
3) Optimal Ground Surface Conditions for Detecting Tiny Hammereds
4) Search Coil Discipline and My Recovery Techniques for Retrieving Single Hammered Wire Coins
6) Photo Gallery of Early Russian Wire Money also includes some numismatic information.
7) How To Identify and Interpret Cyrillic Dates on Russian Coins of Peter I The Great - Tutorial for coin collectors.